**Input**
- - -
A plane-wave DFT calculation with PBE was carried out for a geometry-optimized HoMg2 structure. Values from VASP.

```
&SYSTEM
  ibrav = 0, nat = 6, ntyp = 2
/
ATOMIC_SPECIES
Ho 164.93 Ho.upf
Mg 24.30 Mg.upf
CELL_PARAMETERS angstrom
0.0000 4.2553 4.2553
4.2553 0.0000 4.2553
4.2553 4.2553 0.0000
ATOMIC_POSITIONS crystal
Ho 0.1250 0.1250 0.1250
Ho 0.8750 0.8750 0.8750
Mg 0.0000 0.5000 0.5000
Mg 0.5000 0.0000 0.5000
Mg 0.5000 0.5000 0.0000
Mg 0.5000 0.5000 0.5000
```

Properties
Volume: 154.1 Å³ per cell

---

A plane-wave DFT calculation with PBE was carried out for a geometry-optimized Ho5Mg24 structure. Values from VASP.

```
&SYSTEM
  ibrav = 0, nat = 29, ntyp = 2
/
ATOMIC_SPECIES
Ho 164.93 Ho.upf
Mg 24.30 Mg.upf
CELL_PARAMETERS angstrom
-5.6307 5.6307 5.6307
5.6307 -5.6307 5.6307
5.6307 5.6307 -5.6307
ATOMIC_POSITIONS crystal
Ho 0.0000 0.0000 0.0000
Ho 0.0000 0.0000 0.6314
Ho 0.0000 0.6314 0.0000
Ho 0.3686 0.3686 0.3686
Ho 0.6314 0.0000 0.0000
Mg 0.0000 0.1915 0.3707
Mg 0.0000 0.3707 0.1915
Mg 0.0000 0.3938 0.6786
Mg 0.0000 0.6786 0.3938
Mg 0.1792 0.8085 0.8085
Mg 0.1915 0.0000 0.3707
Mg 0.1915 0.3707 0.0000
Mg 0.2848 0.6062 0.6062
Mg 0.3214 0.3214 0.7152
Mg 0.3214 0.7152 0.3214
Mg 0.3707 0.0000 0.1915
Mg 0.3707 0.1915 0.0000
Mg 0.3938 0.0000 0.6786
Mg 0.3938 0.6786 0.0000
Mg 0.6062 0.2848 0.6062
Mg 0.6062 0.6062 0.2848
Mg 0.6293 0.6293 0.8208
Mg 0.6293 0.8208 0.6293
Mg 0.6786 0.0000 0.3938
Mg 0.6786 0.3938 0.0000
Mg 0.7152 0.3214 0.3214
Mg 0.8085 0.1792 0.8085
Mg 0.8085 0.8085 0.1792
Mg 0.8208 0.6293 0.6293
```

Properties
Volume: 714.1 Å³ per cell

---

| no. | formation enthalpy at 0 K (eV/atom) |
| --- | --- |
| 1 | -0.0588 |
| 2 | -0.0358 |

* * * * *

Record 1
VASP calculation (PBE-GGA) on a relaxed structure of CaMg2.

Structure (extended XYZ):
```
12
Lattice="-3.1323 -5.4253 0.0000 -3.1323 5.4253 0.0000 0.0000 0.0000 -10.0074" Properties=species:S:1:pos:R:3 pbc="T T T"
Ca -3.1323 1.8084 -5.6239
Ca -3.1323 -1.8084 -0.6202
Ca -3.1323 -1.8084 -4.3836
Ca -3.1323 1.8084 -9.3873
Mg -4.6776 0.9163 -2.5019
Mg -3.1323 -3.5928 -7.5056
Mg -4.6776 -0.9163 -7.5056
Mg -1.5870 0.9163 -2.5019
Mg 0.0000 0.0000 0.0000
Mg 0.0000 0.0000 -5.0037
Mg -1.5870 -0.9163 -7.5056
Mg -3.1323 3.5928 -2.5019
```

Computed properties:
DFT total energy	-1.842	eV/atom
energy of formation	-0.11	eV/atom

Record 2
VASP calculation (PBE-GGA) on a relaxed structure of CaMg2.

Structure (extended XYZ):
```
6
Lattice="-6.4245 -1.9185 1.0836 -4.5985 -4.8856 1.0551 -0.6864 -0.4958 7.6435" Properties=species:S:1:pos:R:3 pbc="T T T"
Ca -5.9037 -3.6600 2.7996
Ca -5.8057 -3.6398 6.9827
Mg -8.9265 -5.5199 2.7567
Mg -2.0798 -1.3171 3.8747
Mg -9.6296 -5.9828 5.9076
Mg -2.7828 -1.7800 7.0256
```

Computed properties:
DFT total energy	-1.778	eV/atom
energy of formation	-0.04	eV/atom

Record 3
VASP calculation (PBE-GGA) on a relaxed structure of CaMg2.

Structure (extended XYZ):
```
6
Lattice="-1.5388 4.7171 3.3817 -4.2295 -3.1190 -2.9047 -0.5591 -3.3277 4.3873" Properties=species:S:1:pos:R:3 pbc="T T T"
Ca -3.6122 -2.1708 1.3844
Ca -2.7153 0.4412 3.4799
Mg -1.0642 3.2620 2.3386
Mg -2.9249 -2.1569 -2.0087
Mg -1.7793 0.4929 0.1471
Mg -0.2796 -1.6638 2.1936
```

Computed properties:
DFT total energy	-1.722	eV/atom
energy of formation	0.01	eV/atom

Record 4
VASP calculation (PBE-GGA) on a relaxed structure of CaMg2.

Structure (extended XYZ):
```
6
Lattice="1.7225 -2.9835 0.0000 1.7225 2.9835 0.0000 0.0000 0.0000 16.8873" Properties=species:S:1:pos:R:3 pbc="T T T"
Ca 1.7225 -0.9945 1.6139
Ca 1.7225 0.9945 15.2734
Mg 1.7225 0.9945 4.4918
Mg 1.7225 -0.9945 7.1267
Mg 1.7225 0.9945 9.7606
Mg 1.7225 -0.9945 12.3955
```

Computed properties:
DFT total energy	-1.631	eV/atom
energy of formation	0.10	eV/atom

Record 5
VASP calculation (PBE-GGA) on a relaxed structure of CaMg3.

Structure (extended XYZ):
```
4
Lattice="5.0162 1.2117 3.8895 -0.6542 -1.5685 6.2346 0.3091 -1.7814 -6.2040" Properties=species:S:1:pos:R:3 pbc="T T T"
Ca 1.7952 -0.1920 -0.7802
Mg 3.9421 -0.3668 4.2966
- - -

**Brief**
Search the block earlier on for the word "per" and return each line that has it.

**Worked solution**
Volume: 154.1 Å³ per cell
Volume: 714.1 Å³ per cell